dc.description.abstract |
Adaptive arrays are currently the subject of extensive
investigations, as a means for reducing the vulnerability of the
reception of desired signals to the presence of interference signals
in radar, sonar, seismic and communication systems. The principal
reason behind this widespread interest lies in their ability to sense
automatically the presence of interference noise sources and to
suppress them, while simultaneously enhancing the desired signal
reception without the prior knowledge of the signal/interference
environment. The interference signals may not only consist of
deliberate electronic counter measures, nonhostile RF interferences,
clutter scatter returns and natural noise sources but also coherent
interferences. Coherent interferences can arise when multipath
propagation is present or when "smart" jammers deliberately introduce
coherent jamming by retrodirecting the signal energy to the receiver.
Also, the signal environment may consist of either narrowband or
broadband signal and interferences.
An adaptive array can be best described as a collection of
sensors, feeding a weighting and summing network, with automatic
signal dependent weight adjustment to reduce unwanted signals and/or
emphasize the desired signal. In the case of broadband adaptive
arrays, a tapped delay line is connected behind each sensor to
compensate for the inter-element phase shift. The weight coefficients
are adjusted recursively using suitable algorithms. In an adaptive
array, the interference suppression is obtained by appropriately
steering beam pattern nulls in the direction of interference sources,
while signal reception is maintained by preserving desirable main lobe
features. Therefore, an adaptive array system relies heavily on
spatial characteristics to improve the output signal-to-noise ratio
A wide range of algorithms have been reported in the signal
processing literature which can be used for adjusting the weights of
an adaptive array. These include the conventional least-squares (LS)
solution by direct matrix inversion or by Cholesky factorization, the
classical least-mean-square (LMS) algorithm, the recursive
least-square (RLS) algorithm, the fast RLS algorithms, QR
decomposition algorithms based on Givens, Householders and Modified
Gram-Schmidt techniques, and the rotation based fast RLS algorithms.
Some of these algorithms are suitable for implementation using VLSI
technology. Moreover, due to the recent advances in parallel computing
architectures and VLSI technology, various computational, numerical
and architectural concepts have merged. Consequently, it is becoming
increasingly difficult to comprehend the interrelationships and
tradeoffs among these concepts and approaches. A few of the above
techniques, viz, the direct matrix inversion and the LMS algorithm,
have been widely studied in the context of adaptive arrays. The
difficulties in obtaining the inverse of the correlation matrix, when
the matrix is ill conditioned, and the slow convergence and dependence
of the time constant on the eigenvalues in LMS algorithm, make these
techniques less attractive for application to adaptive arrays.
The QRD-LS algorithm based on Givens rotations has been
recommended in the literature for narrowband adaptive array
applications. This algorithm has fast convergence and is numerically
stable but, unfortunately, it is computationally expensive because of
the square-root operations involved. Some of the other techniques,
viz, the RLS algorithm in the case of narrowband beamformers and
multichannel fast transversal filters (MFTF) and QRD-multichannel
lattice algorithms for broadband arrays have been discussed only
briefly in the literature and detailed investigations have not been
carried out so far. The recursive modified Gram-Schmidt (RMGS) and the
multichannel least-square Lattice (MLSL) algorithms have not been
studied at all in the context of adaptive arrays.
The adaptive arrays based on above mentioned algorithms are
effective in suppressing the interferences and enhancing the desired
signal reception in a noncoherent signal environment. However, these
techniques fail to suppress the coherent interferences. To overcome
this problem, methods such as the structured correlation matrix method
(redundancy averaging) and the spatial smoothing preprocessing scheme
have been proposed in the literature. Of the two, the spatial
smoothing scheme is more attractive and has received relatively wider
attention. Several modifications of this scheme have also been
proposed in the literature. Of these, the modified or forward/backward
spatial smoothing scheme is important. However, the adaptive
implementation in various algorithm based arrays has not received much
attention so far.
This work encompasses the study of adaptive arrays covering
the above aspects. A comparative study of the structured correlation
matrix method and the spatial smoothing scheme using an optimum
beamformer revealed that the structured correlation matrix method
introduces a bias while placing nulls in the direction of
i i i
interferences. Also, the method is not suitable for broadband adaptive
arrays as in this case the correlation matrix is nontoeplitz even in
noncoherent situation. Moreover, the adaptive implementation of this
method in various algorithm based processor is not possible, where as
the spatial smoothing scheme is a practical method to suppress
coherent interferences in an adaptive array.
We next consider the study of adaptive arrays based on
recursive least-square algorithms having a computational complexity of
the 0(P ), where 'P' is the number of sensors in the array. It has
been found that the conventional RLS algorithm based array suffers
from numerical instability and fails to produce nulls in the direction
of interferences arriving from endfire directions. Though the QRD-LS
array based on Givens rotations has excellent numerical properties and
superior nulling performance, it is computationally expensive because
of the involvement of square-root operations. As an alternative, we
have proposed the use of RMGS algorithm and its error feedback version
for adaptive beamformers. These algorithms can also be implemented
using systolic structures. The arrays based on these algorithms have
numerical properties and nulling performance that are comparable with
Givens rotation based QRD-LS array and at the same time, they are
computationally less expensive. Therefore, the proposed RMGS
algorithms based arrays represent a good compromise between the
numerical stability and computational cost in the adaptive beamforming
problems. For broadband arrays, however, these algorithms turn out to
(Misplaced records of crystals)
=====
# 1
# RbSrLaI6 (PBE-GGA, relaxed)
# Total magnetization ... 0.00 μB/f.u.
# VASP energy ... -3.462 eV per atom
# Raw formation energy ... -1.587 eV/atom
data_RbSrLaI6
_chemical_formula_sum 'Rb2 Sr2 La2 I12'
_cell_length_a 8.4174
_cell_length_b 8.4174
_cell_length_c 15.8325
_cell_angle_alpha 90.00
_cell_angle_beta 90.00
_cell_angle_gamma 120.00
_symmetry_space_group_name_H-M 'P -3 1 c'
_symmetry_Int_Tables_number 163
_symmetry_space_group_name_Hall '-P 3 2c'
loop_
_atom_site_label
_atom_site_type_symbol
_atom_site_fract_x
_atom_site_fract_y
_atom_site_fract_z
Rb1 Rb 0.0000 0.0000 0.0000
Sr1 Sr 0.3333 0.6667 0.2500
La1 La 0.3333 0.6667 0.7500
I1 I 0.0105 0.3749 0.6331

# 2
# Ac6GaNi2Br3 (PBE-GGA, relaxed)
# Total magnetization ... 0.00 μB/f.u.
# VASP energy ... -4.526 eV per atom
# Raw formation energy ... -0.838 eV/atom
data_Ac6GaNi2Br3
_chemical_formula_sum 'Ac12 Ga2 Ni4 Br6'
_cell_length_a 20.5275
_cell_length_b 4.3149
_cell_length_c 9.7025
_cell_angle_alpha 90.00
_cell_angle_beta 107.85
_cell_angle_gamma 90.00
_symmetry_space_group_name_H-M 'C 1 2/m 1'
_symmetry_Int_Tables_number 12
loop_
_symmetry_equiv_pos_as_xyz
'x,y,z'
'-x,-y,-z'
'-x,y,-z'
'x,-y,z'
'x+1/2,y+1/2,z'
'-x+1/2,-y+1/2,-z'
'-x+1/2,y+1/2,-z'
'x+1/2,-y+1/2,z'
loop_
_atom_site_label
_atom_site_type_symbol
_atom_site_fract_x
_atom_site_fract_y
_atom_site_fract_z
Ac1 Ac 0.0165 0.0000 0.2451
Ac2 Ac 0.1608 0.5000 0.1233
Ac3 Ac 0.1798 0.5000 0.5535
Ga1 Ga 0.0000 0.5000 0.0000
Ni1 Ni 0.1695 0.0000 0.3399
Br1 Br 0.0000 0.5000 0.5000
Br2 Br 0.1598 0.0000 0.8348

----------

# Tb5PrAl4

A geometry-optimized Tb5PrAl4 structure (PBE, Alexandria via LeMat-Bulk).

* E_tot: -46.0 eV/cell
* energy of formation from the pure elements: -0.310 eV per atom
* M_tot: 0.00 μB per formula unit

Unit cell a=3.5933 b=3.5933 c=19.9710 alpha=90.00 beta=90.00 gamma=90.00
Fractional coordinates of all 10 atoms:
Tb 0.0000 0.0000 0.0000
Tb 0.0000 0.0000 0.1829
Tb 0.0000 0.0000 0.3660
Tb 0.0000 0.0000 0.6340
Tb 0.0000 0.0000 0.8171
Pr 0.5000 0.5000 0.5000
Al 0.5000 0.5000 0.0917
Al 0.5000 0.5000 0.2756
Al 0.5000 0.5000 0.7244
Al 0.5000 0.5000 0.9083

----------

The following is a GGA-PBE calculation of a geometry-optimized BaPmPaN3 structure, from Alexandria via LeMat-Bulk.

**Raw total energy**: -8.06 eV per atom
**Density**: 8.4 g/cm3
**DOS(E_F)**: 0.50 states/eV per atom

Cell: 6.2460 3.6762 9.7336 Å, 90.00 101.96 90.00°
Atoms (fractional coordinates):
1 Ba 0.1553 0.2500 0.1937
2 Ba 0.8447 0.7500 0.8063
3 Pm 0.3596 0.2500 0.8603
4 Pm 0.6404 0.7500 0.1397
5 Pa 0.2629 0.7500 0.5402
6 Pa 0.7371 0.2500 0.4598
7 N 0.0541 0.2500 0.6204
8 N 0.2824 0.7500 0.9908
9 N 0.4757 0.7500 0.3780
10 N 0.5243 0.2500 0.6220
11 N 0.7176 0.2500 0.0092
12 N 0.9459 0.7500 0.3796

----------

Entry 1:
## MoRu2Au (PBE)

Data for a relaxed MoRu2Au crystal.

Structure (extended XYZ):
```
4
Lattice="2.7812 0.0000 0.0000 0.0000 3.9739 0.0000 0.0000 0.0000 5.5625" Properties=species:S:1:pos:R:3 pbc="T T T"
Ru 1.3906 1.9869 1.2338
=====
be computationally expensive with a complexity of the 0(P n), where
'M' is the number of taps in each delay line.
Next, we consider the arrays based on Fast-RLS algorithms
for realizing broadband arrays. We have proposed the multichannel
least-square Lattice [MLSL] algorithm for broadband adaptive array
which has a computational complexity of 0(P M). Using MLSL algorithm
as the basis, we formulate the Givens rotation based QRD-MLSL
algorithm and apply it to the adaptive beamforming problem. We then
derive the MFTF algorithm and study the adaptive arrays based on these
algorithms. The algebraic approach has been used to derive these
algorithms. Of the three broadband arrays realized, the MFTF algorithm
has the least computational complexity.
Finally, we have considered, the spatial smoothing scheme
and the forward/backward spatial smoothing scheme as an effective
means to suppress coherent interferences. Our studies have revealed
that, in optimum beamformers, both the methods are effective in
placing nulls in the direction of coherent interferences. The adaptive
implementation of spatial smoothing scheme on the QR decomposition
algorithms, such as QRD-LS and RMGS algorithm based arrays, has
received little attention so far. We have proposed a method of
implementing spatial smoothing scheme on the arrays based on these
algorithms. In this method, the elements of the upper triangular
matrix are smoothed first and after a fixed number of snapshots, this
smoothed upper triangular matrix Is used to compute the optimum
weights of the beamformer. The proposed method has been tested through
computer simulations and produces deep nulls in the direction of
coherent interferences. In the forward/backward spatial smoothing
scheme, the signals of the respective forward and complex conjugated
backward subarrays are first averaged. Then, the resultant signals are
used to smooth the weights or the elements of upper triangular matrix.
Our numerical experiments show that the conventional spatial smoothing
scheme has a much superior nulling performance as compared to the
forward/backward spatial smoothing scheme.
The performance of various algorithms has been evaluated for
the narrowband and broadband arrays in noncoherent as well as coherent
interference environment, using computer simulations. Convergence
characteristics of various beamformers have been tested by computing
the residual power as afunction of the number of adaptation samples.
The comparative study has revealed that, QRD-LS array based on Givens
rotations has the fastest convergence and the least residual power.
The RMGS algorithm based array with error feedback has characteristics
comparable with those of the QRD-LS array.
The nulling performance of various arrays has been studied
with the help of voltage patterns. In the case of broadband arrays,
the output waveforms has also been extracted to demonstrate the
ability of the beamformers to track the desired signal. |
en_US |